Chung Hwa Chinese Comedy Four

12 min in one. Four Chinamen who sing and dance, appearing in full dress, Highlander and other costumes. Nothing extraordinary strong about their work, but the novelty attracted much interest, and they got over all right. St. Louis.

Carleton and Kay

15 min in one. Olio. This is Ubert Carleton, formerly of the Bayes & Norworth act, and Kathleen Kay, a recruit from burlesque, in songs and dances. I regret to state tat the songs did not get over very well, the one redeeming feature being the “Tango” dance at the finish.

Rock & Fulton

In their series of character songs and dances. At the matinee performance this act went only moderately well at the beginning but gradually increased in favor until with the “Devil Dance” as a finale the pair gained a good solid round of applause. The several numbers preceding were greeted with but ordinary favor. The team were so surprised at not getting better that they didn’t know what to make of it, and as a result almost forgot the “Devil Dance” at the matinee. However, I talked with Rock after the first show, offering him encouragement, with the result that the night performance was all right, the act holding the attention all the way through and finishing strong. They will undoubtedly score heavily during the week. Open landscape in 1. Finish special in 4; 30 minutes.

The Peerless Macks

A young fellow and girl in songs and dances which is about the usual of this run of acts. In one.

Gladys Clark and Kenny Bergman

In 2 special, showing exterior of base ball grounds. Time 18. A song and dance skit in which abundant base ball jests are introduced. Went fairly well.

**The page is interrupted by calculated crystals**
........
Entry 1:
Theoretical XRD peak list of K2SnCl6 for λ = 1.5418 Å (Cu Kα), from a structure optimized by DFT (PBE).

Structure:
abc: 7.238 7.229 12.541
angles: 90.00 124.80 90.00
Space group P2_1/c (No. 14)
Inequivalent atoms, fractional coordinates:
K 0.238 0.027 0.245
Sn 0.500 0.000 0.000
Cl 0.209 0.209 0.978
Cl 0.274 0.730 0.982
Cl 0.305 0.001 0.762

Most intense lines, 10 to 80 degrees two-theta, by angle:
(0 1 1), d 5.925, 14.95 deg, I 100; (1 0 -2), d 5.900, 15.02 deg, I 33; (1 1 -1), d 5.115, 17.34 deg, I 29; (0 2 0), d 3.618, 24.61 deg, I 38; (1 0 -4), d 3.091, 28.88 deg, I 50; (0 0 4), d 2.574, 34.85 deg, I 35; (2 2 -2), d 2.557, 35.09 deg, I 64; (2 2 -6), d 1.809, 50.45 deg, I 36

Entry 2:
Theoretical XRD peak list of Mg6Si5 for λ = 1.5418 Å (Cu Kα), from a structure optimized by DFT (PBE).

Structure:
abc: 5.411 6.752 12.272
angles: 100.42 92.77 96.40
Space group P1 (No. 1)
Inequivalent atoms, fractional coordinates:
Mg 0.000 0.000 0.000
Mg 0.007 0.082 0.746
Mg 0.073 0.463 0.972
Mg 0.158 0.715 0.471
Mg 0.193 0.660 0.771
Mg 0.226 0.824 0.202
Mg 0.273 0.212 0.406
Mg 0.495 0.184 0.905
Mg 0.616 0.601 0.315
Mg 0.650 0.590 0.562
Mg 0.726 0.015 0.498
Mg 0.754 0.083 0.265
Si 0.013 0.360 0.604
Si 0.083 0.449 0.260
Si 0.342 0.216 0.167
Si 0.411 0.264 0.640
Si 0.435 0.797 0.973
Si 0.459 0.923 0.672
Si 0.694 0.790 0.815
Si 0.714 0.715 0.110
Si 0.734 0.359 0.113
Si 0.746 0.433 0.767

Most intense lines, 10 to 80 degrees two-theta, by angle:
(0 0 2), d 6.020, 14.72 deg, I 44; (-1 2 1), d 2.804, 31.91 deg, I 61; (1 1 -4), d 2.602, 34.47 deg, I 83; (1 0 4), d 2.551, 35.18 deg, I 100; (-2 1 1), d 2.538, 35.36 deg, I 44; (1 2 -3), d 2.441, 36.83 deg, I 71; (-1 1 4), d 2.415, 37.24 deg, I 47; (2 1 -3), d 2.177, 41.48 deg, I 55

Entry 3:
Theoretical XRD peak list of Na2ZrS3 for λ = 1.5418 Å (Cu Kα), from a structure optimized by DFT (PBE).

Structure:
abc: 6.705 11.623 6.988
angles: 90.00 108.87 90.00
Space group C2/m (No. 12)
Inequivalent atoms, fractional coordinates:
Na 0.000 0.000 0.000
Na 0.000 0.159 0.500
Na 0.000 0.500 0.500
Zr 0.000 0.332 0.000
S 0.214 0.500 0.222
S 0.245 0.319 0.778

Most intense lines, 10 to 80 degrees two-theta, by angle:
(0 0 1), d 6.612, 13.39 deg, I 39; (1 1 0), d 5.569, 15.91 deg, I 12; (1 3 0), d 3.307, 26.96 deg, I 13; (1 3 1), d 2.778, 32.22 deg, I 100; (1 3 -3), d 1.996, 45.44 deg, I 22; (2 0 2), d 1.990, 45.59 deg, I 11; (3 3 -1), d 1.936, 46.92 deg, I 31; (2 6 -2), d 1.590, 58.01 deg, I 15

Entry 4:
Theoretical XRD peak list of LaAl3Ni2 for λ = 1.5418 Å (Cu Kα), from a structure optimized by DFT (PBE).

Structure:
abc: 10.202 7.825 5.134
angles: 90.00 90.00 90.00
Space group Cmcm (No. 63)
Inequivalent atoms, fractional coordinates:
La 0.000 0.153 0.250
Al 0.000 0.440 0.750
Al 0.197 0.221 0.750
Ni 0.201 0.500 0.000

Most intense lines, 10 to 80 degrees two-theta, by angle:
........

Eddie Mack and Dot Williams

Time 14. Open in 1, close in 2. They sing and dance. Miss Williams has a “baby” voice which she uses to advantage in some “kid” impressions. Mack is a fair dancer. Average act.

Harold Forbes and Carrie Bowman

“Quitting Capers.” A pretty singing and dancing novelty that went well in this spot. Both are neat looking, have a good routine of material and should be able to hold this spot on any bill. Close with a burlesque “impression” of the Apache dance.

Kelly Gaston & Minerva Coverdale

They do eccentric dancing, some little patter, and sing several songs. Did very well in this position today. F.S. can close in one.

Morton and Moore

Songs, dancing and travesty. A hit. F.S. but gave us a couple of minutes in one.

Cotter and Boulden

Man and woman who sing, dance, do a little piano playing and woman uses the banjo to accompany herself two of her numbers. All right in this position.